**Contents:**
1.
148
Properties=species:S:1:pos:R:3:forces:R:3 method="wB97M-V/def2-TZVPD" e_homo_ha=-0.3372 orbital_gap_ev=8.3499 spin_multiplicity=1
C -5.800 -2.507 0.524 0.457 -1.435 -0.674
O -5.422 -2.030 1.864 -2.552 0.832 -1.436
C -6.428 -1.123 2.440 -0.006 0.973 1.743
C -6.023 0.482 2.337 0.752 -0.331 -0.764
C -4.381 0.715 2.138 -0.980 -0.099 -0.406
C -4.010 2.320 2.151 -0.061 -0.159 0.805
C -3.571 2.891 3.643 1.220 0.247 -1.302
C -1.902 2.810 3.663 -0.370 0.555 0.305
C -1.274 2.891 5.179 -0.577 0.339 -0.218
C -1.609 1.538 6.097 1.242 1.025 -0.290
C -0.482 0.407 5.681 -0.407 -0.426 -0.036
C -1.177 -1.051 5.254 0.342 0.234 0.135
C -0.433 -1.712 3.902 1.095 2.471 2.468
C 1.156 -1.833 4.366 0.642 0.179 0.722
N 1.978 -2.802 3.556 1.095 0.876 0.343
O -0.675 -0.716 2.844 1.930 -2.461 -0.378
C 0.131 -0.941 1.643 -0.245 1.480 -1.684
O 1.425 -0.179 1.631 -2.080 -0.229 2.530
C -0.737 -0.259 0.381 0.418 -1.445 0.543
C -0.117 -0.950 -0.983 -0.131 1.004 -0.463
C -0.564 -2.511 -1.154 -1.281 -0.494 -1.182
O -1.597 -2.961 -0.160 -0.043 1.211 -1.305
C 0.608 -3.631 -1.138 -0.321 -1.321 0.326
N 1.991 -3.194 -0.761 -0.737 0.812 -1.453
O -0.520 1.181 0.514 -1.065 -0.749 -1.638
C -0.941 1.967 -0.637 0.665 1.554 -0.400
C -2.467 1.750 -1.165 -1.000 1.767 0.739
O -2.390 1.694 -2.663 1.175 0.602 2.505
N -3.552 1.260 -3.182 1.376 -4.713 -2.003
O -3.255 0.205 -3.767 -2.241 3.371 1.463
C -0.725 3.570 -0.217 0.084 -0.249 -2.114
C 0.862 4.012 -0.165 -0.564 0.754 1.913
C 1.546 3.526 1.281 -0.146 -0.567 -0.618
F 1.656 3.540 -1.326 -2.028 0.622 2.400
S -1.294 -3.357 3.661 -5.792 -2.810 4.349
C -0.531 -4.527 2.439 0.299 -2.131 -1.351
O -2.826 -3.139 3.369 5.598 0.012 -0.359
O -1.253 -4.077 5.065 1.324 2.392 -4.480
H -5.174 -2.002 -0.355 -1.281 -0.731 1.901
H -5.538 -3.670 0.496 -0.487 2.511 0.053
H -6.942 -2.428 0.272 2.130 0.115 0.654
H -7.513 -1.256 2.020 2.136 -0.003 0.517
H -6.487 -1.368 3.598 0.257 0.263 -2.407
H -6.337 1.059 3.312 0.289 -1.154 -2.024
H -6.572 0.889 1.364 1.174 -0.431 2.219
H -4.130 0.259 1.087 -0.344 0.819 1.988
H -3.794 0.081 2.933 -1.014 1.371 -1.478
H -3.065 2.481 1.459 -2.115 -0.128 1.233
H -4.939 2.977 1.816 1.969 -1.562 0.269
H -3.864 4.043 3.652 0.493 -2.535 0.420
H -4.040 2.285 4.528 0.761 1.262 -1.745
H -1.508 3.758 3.068 -0.793 -1.910 1.154
H -1.555 1.869 3.049 -0.593 1.621 1.406
H -0.110 3.074 5.089 -2.258 -0.567 0.353
H -1.714 3.872 5.690 0.823 -2.122 -1.017
H -1.428 1.864 7.230 -0.699 -0.908 -2.452
H -2.717 1.171 5.913 2.372 0.752 0.485
H 0.213 0.204 6.626 -1.316 0.524 -2.255
H 0.148 0.835 4.773 -1.260 -0.903 1.987
H -2.301 -0.902 4.965 2.121 -0.395 0.731
H -1.017 -1.744 6.208 -0.733 1.162 -2.513
H 1.660 -0.755 4.313 -1.485 -2.196 0.093
H 1.244 -2.166 5.502 -0.728 0.715 -2.449
H 2.580 -3.410 4.183 -1.053 1.263 -1.037
H 2.621 -2.231 2.937 -0.939 -1.083 1.009
H 0.418 -2.054 1.432 -0.862 2.093 0.591
H 1.303 0.513 2.370 0.219 -1.352 -1.841
H -1.872 -0.472 0.564 2.143 0.136 -0.436
H 1.046 -0.758 -0.933 -2.305 -0.674 -0.015
H -0.465 -0.402 -1.987 0.549 -1.029 2.375
H -1.123 -2.622 -2.204 1.397 0.439 2.127
H -2.499 -2.613 -0.438 1.771 -0.519 0.483
H 0.303 -4.506 -0.388 0.375 2.013 -1.615
H 0.644 -4.151 -2.210 0.088 1.264 2.329
H 2.060 -2.745 0.178 -0.256 -0.290 -1.244
H 2.291 -2.522 -1.529 -0.171 -0.962 1.780
H -0.207 1.785 -1.541 -1.562 0.235 1.683
H -3.049 0.844 -0.713 1.399 1.428 -1.086
H -3.137 2.712 -0.942 1.509 -2.065 -0.166
H -1.319 3.876 0.745 1.450 -0.718 -1.661
H -1.202 4.184 -1.121 0.933 -1.320 1.877
H 0.892 5.196 -0.177 0.057 -2.551 -0.345
H 2.035 4.442 1.850 -0.918 -2.046 -1.320
H 2.321 2.694 0.998 -1.244 1.731 0.699
H 0.744 2.998 1.988 1.608 1.339 -1.676
H -1.373 -4.830 1.656 1.768 1.144 1.699
H 0.447 -4.176 1.907 -2.039 -0.276 1.185
H -0.254 -5.546 2.996 -0.682 2.577 -0.709
C -3.979 -7.106 -0.405 -0.085 -0.049 -0.159
C -4.023 -6.093 -1.363 -0.098 -0.120 -0.029
C -4.748 -6.277 -2.540 -0.012 -0.153 0.119
C -5.426 -7.476 -2.761 0.112 0.038 0.158
C -5.374 -8.492 -1.807 0.071 0.142 0.028
C -4.652 -8.307 -0.628 0.010 0.155 -0.118
**Activity:**
Now duplicate the data further above exactly.
**Response:**
1.
148
Properties=species:S:1:pos:R:3:forces:R:3 method="wB97M-V/def2-TZVPD" e_homo_ha=-0.3372 orbital_gap_ev=8.3499 spin_multiplicity=1
C -5.800 -2.507 0.524 0.457 -1.435 -0.674
O -5.422 -2.030 1.864 -2.552 0.832 -1.436
C -6.428 -1.123 2.440 -0.006 0.973 1.743
C -6.023 0.482 2.337 0.752 -0.331 -0.764
C -4.381 0.715 2.138 -0.980 -0.099 -0.406
C -4.010 2.320 2.151 -0.061 -0.159 0.805
C -3.571 2.891 3.643 1.220 0.247 -1.302
C -1.902 2.810 3.663 -0.370 0.555 0.305
C -1.274 2.891 5.179 -0.577 0.339 -0.218
C -1.609 1.538 6.097 1.242 1.025 -0.290
C -0.482 0.407 5.681 -0.407 -0.426 -0.036
C -1.177 -1.051 5.254 0.342 0.234 0.135
C -0.433 -1.712 3.902 1.095 2.471 2.468
C 1.156 -1.833 4.366 0.642 0.179 0.722
N 1.978 -2.802 3.556 1.095 0.876 0.343
O -0.675 -0.716 2.844 1.930 -2.461 -0.378
C 0.131 -0.941 1.643 -0.245 1.480 -1.684
O 1.425 -0.179 1.631 -2.080 -0.229 2.530
C -0.737 -0.259 0.381 0.418 -1.445 0.543
C -0.117 -0.950 -0.983 -0.131 1.004 -0.463
C -0.564 -2.511 -1.154 -1.281 -0.494 -1.182
O -1.597 -2.961 -0.160 -0.043 1.211 -1.305
C 0.608 -3.631 -1.138 -0.321 -1.321 0.326
N 1.991 -3.194 -0.761 -0.737 0.812 -1.453
O -0.520 1.181 0.514 -1.065 -0.749 -1.638
C -0.941 1.967 -0.637 0.665 1.554 -0.400
C -2.467 1.750 -1.165 -1.000 1.767 0.739
O -2.390 1.694 -2.663 1.175 0.602 2.505
N -3.552 1.260 -3.182 1.376 -4.713 -2.003
O -3.255 0.205 -3.767 -2.241 3.371 1.463
C -0.725 3.570 -0.217 0.084 -0.249 -2.114
C 0.862 4.012 -0.165 -0.564 0.754 1.913
C 1.546 3.526 1.281 -0.146 -0.567 -0.618
F 1.656 3.540 -1.326 -2.028 0.622 2.400
S -1.294 -3.357 3.661 -5.792 -2.810 4.349
C -0.531 -4.527 2.439 0.299 -2.131 -1.351
O -2.826 -3.139 3.369 5.598 0.012 -0.359
O -1.253 -4.077 5.065 1.324 2.392 -4.480
H -5.174 -2.002 -0.355 -1.281 -0.731 1.901
H -5.538 -3.670 0.496 -0.487 2.511 0.053
H -6.942 -2.428 0.272 2.130 0.115 0.654
H -7.513 -1.256 2.020 2.136 -0.003 0.517
H -6.487 -1.368 3.598 0.257 0.263 -2.407
H -6.337 1.059 3.312 0.289 -1.154 -2.024
H -6.572 0.889 1.364 1.174 -0.431 2.219
H -4.130 0.259 1.087 -0.344 0.819 1.988
H -3.794 0.081 2.933 -1.014 1.371 -1.478
H -3.065 2.481 1.459 -2.115 -0.128 1.233
H -4.939 2.977 1.816 1.969 -1.562 0.269
H -3.864 4.043 3.652 0.493 -2.535 0.420
H -4.040 2.285 4.528 0.761 1.262 -1.745
H -1.508 3.758 3.068 -0.793 -1.910 1.154
H -1.555 1.869 3.049 -0.593 1.621 1.406
H -0.110 3.074 5.089 -2.258 -0.567 0.353
H -1.714 3.872 5.690 0.823 -2.122 -1.017
H -1.428 1.864 7.230 -0.699 -0.908 -2.452
H -2.717 1.171 5.913 2.372 0.752 0.485
H 0.213 0.204 6.626 -1.316 0.524 -2.255
H 0.148 0.835 4.773 -1.260 -0.903 1.987
H -2.301 -0.902 4.965 2.121 -0.395 0.731
H -1.017 -1.744 6.208 -0.733 1.162 -2.513
H 1.660 -0.755 4.313 -1.485 -2.196 0.093
H 1.244 -2.166 5.502 -0.728 0.715 -2.449
H 2.580 -3.410 4.183 -1.053 1.263 -1.037
H 2.621 -2.231 2.937 -0.939 -1.083 1.009
H 0.418 -2.054 1.432 -0.862 2.093 0.591
H 1.303 0.513 2.370 0.219 -1.352 -1.841
H -1.872 -0.472 0.564 2.143 0.136 -0.436
H 1.046 -0.758 -0.933 -2.305 -0.674 -0.015
H -0.465 -0.402 -1.987 0.549 -1.029 2.375
H -1.123 -2.622 -2.204 1.397 0.439 2.127
H -2.499 -2.613 -0.438 1.771 -0.519 0.483
H 0.303 -4.506 -0.388 0.375 2.013 -1.615
H 0.644 -4.151 -2.210 0.088 1.264 2.329
H 2.060 -2.745 0.178 -0.256 -0.290 -1.244
H 2.291 -2.522 -1.529 -0.171 -0.962 1.780
H -0.207 1.785 -1.541 -1.562 0.235 1.683
H -3.049 0.844 -0.713 1.399 1.428 -1.086
H -3.137 2.712 -0.942 1.509 -2.065 -0.166
H -1.319 3.876 0.745 1.450 -0.718 -1.661
H -1.202 4.184 -1.121 0.933 -1.320 1.877
H 0.892 5.196 -0.177 0.057 -2.551 -0.345
H 2.035 4.442 1.850 -0.918 -2.046 -1.320
H 2.321 2.694 0.998 -1.244 1.731 0.699
H 0.744 2.998 1.988 1.608 1.339 -1.676
H -1.373 -4.830 1.656 1.768 1.144 1.699
H 0.447 -4.176 1.907 -2.039 -0.276 1.185
H -0.254 -5.546 2.996 -0.682 2.577 -0.709
C -3.979 -7.106 -0.405 -0.085 -0.049 -0.159
C -4.023 -6.093 -1.363 -0.098 -0.120 -0.029
C -4.748 -6.277 -2.540 -0.012 -0.153 0.119
C -5.426 -7.476 -2.761 0.112 0.038 0.158
C -5.374 -8.492 -1.807 0.071 0.142 0.028
C -4.652 -8.307 -0.628 0.010 0.155 -0.118